Many people live lives that are too cramped, with a consciousness that is too small and too crowded. In this tight space tension reigns supreme—it all feels like life is too much, that you are not big enough. This is in contradiction to the fact that you are truly made up of an infinite nature, being made in the likeness and image of God.
(Calculated crystals that have nothing to do with the text)
____________
P | Entry from the Alexandria database: a geometry-optimized VSiPO2 structure (GGA+U).

Summary:
The total magnetic moment is 2.1 μB/f.u.

CIF file:
```
data_VSiPO2
_symmetry_space_group_name_H-M 'P 4/m m m'
_symmetry_Int_Tables_number 123
_symmetry_space_group_name_Hall '-P 4 2'
_cell_length_a 3.461
_cell_length_b 3.461
_cell_length_c 5.175
_cell_angle_alpha 90.00
_cell_angle_beta 90.00
_cell_angle_gamma 90.00
loop_
_atom_site_label
_atom_site_type_symbol
_atom_site_fract_x
_atom_site_fract_y
_atom_site_fract_z
V1 V 0.000 0.000 0.000
Si1 Si 0.500 0.500 0.500
P1 P 0.500 0.500 0.000
O1 O 0.000 0.500 0.500
```


Q | Entry from the Alexandria database: a geometry-optimized VSiPO2 structure (GGA+U).

Summary:
The total magnetic moment is 0.7 μB/f.u.

CIF file:
```
data_VSiPO2
_symmetry_space_group_name_H-M 'P 4/m m m'
_symmetry_Int_Tables_number 123
_symmetry_space_group_name_Hall '-P 4 2'
_cell_length_a 3.669
_cell_length_b 3.669
_cell_length_c 5.192
_cell_angle_alpha 90.00
_cell_angle_beta 90.00
_cell_angle_gamma 90.00
loop_
_atom_site_label
_atom_site_type_symbol
_atom_site_fract_x
_atom_site_fract_y
_atom_site_fract_z
V1 V 0.000 0.000 0.000
Si1 Si 0.500 0.500 0.500
P1 P 0.000 0.000 0.500
O1 O 0.000 0.500 0.000
```


Stability summary - winner: P; margin: 251 meV per atom.

* * * * *

# K2TlP PBE-GGA relaxed
data_K2TlP
_chemical_formula_sum 'K4 Tl2 P2'
_symmetry_space_group_name_H-M 'C 1 m 1'
_symmetry_Int_Tables_number 8
_cell_length_a 12.8653
_cell_length_b 4.1164
_cell_length_c 5.6272
_cell_angle_alpha 90.00
_cell_angle_beta 115.82
_cell_angle_gamma 90.00
loop_
_symmetry_equiv_pos_as_xyz
'x,y,z'
'x,-y,z'
'x+1/2,y+1/2,z'
'x+1/2,-y+1/2,z'
loop_
_atom_site_label
_atom_site_fract_x
_atom_site_fract_y
_atom_site_fract_z
K1 0.0000 0.0000 0.0000
K2 0.1777 0.0000 0.6776
Tl1 0.3815 0.0000 0.3815
P1 0.2284 0.5000 0.2271
# crystal system = monoclinic
# ρ = 3.88 Mg/m³
# energy above the lowest structure with this stoichiometry = 0.04 eV/f.u.

# K2TlP PBE-GGA relaxed
data_K2TlP
_chemical_formula_sum 'K8 Tl4 P4'
_symmetry_space_group_name_H-M 'F m -3 m'
_symmetry_Int_Tables_number 225
_symmetry_space_group_name_Hall '-F 4 2 3'
_cell_length_a 7.9188
_cell_length_b 7.9188
_cell_length_c 7.9188
_cell_angle_alpha 90.00
_cell_angle_beta 90.00
_cell_angle_gamma 90.00
loop_
_atom_site_label
_atom_site_fract_x
_atom_site_fract_y
_atom_site_fract_z
K1 0.2500 0.2500 0.2500
Tl1 0.0000 0.0000 0.0000
P1 0.0000 0.0000 0.5000
# crystal system = cubic
# ρ = 4.19 Mg/m³
# energy above the lowest structure with this stoichiometry = 0.77 eV/f.u.

# KTl2P PBE-GGA relaxed
data_KTl2P
_chemical_formula_sum 'K3 Tl6 P3'
_symmetry_space_group_name_H-M 'R 3 m'
_symmetry_Int_Tables_number 160
_symmetry_space_group_name_Hall 'R 3 -2"'
_cell_length_a 4.3249
_cell_length_b 4.3249
_cell_length_c 24.7693
_cell_angle_alpha 90.00
_cell_angle_beta 90.00
_cell_angle_gamma 120.00
loop_
_atom_site_label
_atom_site_fract_x
_atom_site_fract_y
_atom_site_fract_z
K1 0.0000 0.0000 0.0000
____________
To counteract this cramped living style, you must move into spaciousness—where your consciousness easily accommodates expansiveness. Attuning yourself to your greater Self you grow larger than your limited situation, you feel God-consciousness expand in you, making you know that all God is, is also available to you.
Those things that work against this roominess of Spirit are when you are in pain or struggling with a physical condition, limited money and prosperity in the moment, unhappy relationships and social situations, an unsatisfying work situation, and lack of balance in your life. These things can press in on you, make you feel small and that these situations are very big. This oppressiveness puts you under tremendous pressure. This is not the way you are meant to live.
In truth, your life is an expression of infinite nature; you are meant to live in freedom, joy, love and light. To tune into this greater Source you must rise above your determined beliefs that you are small and problems are big. It is true that on a human level many things can come at you, and challenges can really stretch you, but you are not a human self only. You must remember that you are a child of the Infinite, and in remembering this you claim access to the realms of your greater Self.
When meditating, bring to mind your expansiveness. Feel that you are not limited to one little human body, rather you know yourself to be a citizen of the stars, that there is no limit to consciousness. When done with meditation time and you enter into the world, continue your connection with your greater Self—that you are a living instrument of limitless thought, energy and abundance. Your life is “right sized” for you, you need only open yourself to all God wishes to manifest through you. Let go of fear, resentment, limiting beliefs and know that your infinite Beloved is, even right now, actively manifesting all that you need to be His likeness, and His image.
No two lives are identical, so, do not compare yourself to any other, for that would deny the uniqueness of how God chooses to be in you as a co-creator with Him. So, any time you are feeling too cramped in your living space, feeling the pressure of life, and that you are too small for the shoes you are wearing, then instantly recall who and what you truly are—a child of the Infinite—as such you expand to be larger than the problems and challenges you face, you walk amongst the stars, that vast resources are streaming to you in order for you to live your life exactly as it has been ordered from above. In that spaciousness breathe freedom and know that God is the solution to every problem; that His ingenuity for solving problems is even greater than yours for creating them! There is plenty of room for you to breathe, live your life and be exactly who God designed you to be.